Dietary recipes for stewed zucchini with green beans. Potatoes with green beans. Zucchini stew recipe

Wash the bean pods, cut off the ends on both sides and cut into 2-3 cm cubes.

Peeled and washed potatoes, cut into medium-sized cubes.
We also peel the onion and a clove of garlic, wash and cut into cubes, chop the garlic finely.

Pour enough water into the pan and put it on fire, add salt. When it boils and only when it boils, throw in our beans and boil for 10 minutes or more until soft.
In order for the beans to retain their bright green color after cooking and not turn brown, you can add a little sugar to the water, this will help the chlorophyll to linger in the plant.
For the same purpose, as soon as the beans become soft, drain them and immediately douse them with cold tap water or place them in a container with cold water and ice. This will also help the beans retain their color and look more appetizing in the dish.

We also boil the potatoes in salted water until tender, but do not overcook them. Cut the washed tomatoes into slices.

Heat a little olive oil in a frying pan or saucepan and add finely chopped onion and garlic. Sauté until the onion becomes transparent.
Then we add sliced ​​tomatoes there and, if we use red pepper, it’s time to add that too. Simmer for a few minutes.
If necessary, for example in winter, when tomatoes are not so tasty, you can add a little sugar.

When the tomatoes have released their juice, add the sprout beans to the saucepan. And let it simmer for another 5 minutes.
In the meantime, we drain the potatoes that have already reached readiness, and we have no choice but to add them to the vegetables already in the pan, test for salt and a few more minutes under the closed lid and woo-a-la!

Green beans with potatoes and tomatoes are ready! It can be served as a side dish, as a hot appetizer, or as a main dish that is completely lean and dietary.
A very simple bean recipe, but it deserves attention.
Bon appetit!

Note: if the liquid evaporates too much during the stewing process, you can add a little potato or bean broth, or just hot water.

Cooking green beans with new potatoes.

Quite simple, but at the same time tasty and satisfying summer dish. It makes an excellent side dish for meat, poultry or fish, and is also suitable as a main dish.

Young vegetables, fresh aromatic herbs are very tasty. Instead of fresh young green beans, you can use frozen beans, and replace new potatoes with regular ones.


  • Green beans - 1 kg (fresh or frozen).
  • New potatoes-800g.
  • Onions - 1-2 pcs.
  • Garlic - 2-3 cloves.
  • Vegetable oil.
  • Salt.
  • Freshly ground pepper.
  • Parsley.


Peel the potatoes, wash them and cut them into large pieces. If the potatoes are small, there is no need to chop them.


Wash the green beans and remove the tails.


Cut the beans into 3-4 cm pieces.

If you use frozen green beans, there is no need to peel or cut them.


In a cauldron or thick-bottomed saucepan, heat the vegetable oil well and fry the potatoes until half cooked. Salt and pepper to taste.


Peel the onion and chop finely. Heat a frying pan with vegetable oil, add onion, add a little salt and fry until soft.


Add beans, salt to taste, mix and simmer under a closed lid over medium heat for 5-7 minutes.

Then pepper to taste and add chopped garlic. Let's mix.

If you use frozen green beans, you do not need to fry them. Add immediately to potatoes.


Add green beans to the potatoes, mix gently, cover with a lid and simmer until the potatoes are ready. If necessary, add a little boiled water.

Serve with finely chopped herbs.

(What comes next are crystal structures, not part of the article)
1.
In3SF7: theoretical PXRD pattern (Cu Ka), based on a crystal structure in Alexandria, relaxed with PBE.
Neutral-atom scattering factors, no anomalous dispersion.

Peak list (6 most intense, 2θ = 10–90°, most intense first)
two_theta, Rel. int., hkl
16.25, 1000, 0 0 1
34.24, 758, 0 2 1
14.84, 493, 1 0 0
45.02, 465, 0 2 2
29.94, 303, 2 0 0
22.07, 244, 0 1 1

Structure:
a = 6.8932 Å, b = 6.8932 Å, c = 5.4557 Å
α = 90.00°, β = 90.00°, γ = 120.00°
Space group P3m1 (No. 156)
One atom of each set of equivalent atoms:
In 0.1715 0.3430 0.0000 [3 per cell]
S 0.3333 0.6667 0.2911 [1 per cell]
F 0.0000 0.0000 0.7993 [1 per cell]
F 0.0419 0.5210 0.7926 [3 per cell]
F 0.2951 0.1476 0.1633 [3 per cell]



2.
PrSiP3: theoretical PXRD pattern (Cu Ka), based on a crystal structure in Alexandria, relaxed with PBE.
Neutral-atom scattering factors, no anomalous dispersion.

Peak list (6 most intense, 2θ = 10–90°, most intense first)
two_theta, Rel. int., hkl
22.74, 1000, 1 2 1
25.79, 699, 1 4 1
35.62, 697, 1 8 1
31.22, 425, 0 0 2
30.32, 420, 2 0 0
44.08, 376, 2 0 2

Structure:
a = 5.895 Å, b = 25.530 Å, c = 5.730 Å
α = 90.00°, β = 90.00°, γ = 90.00°
Space group Pna2_1 (No. 33)
One atom of each set of equivalent atoms:
Pr 0.025 0.098 0.000 [4 per cell]
Pr 0.026 0.410 0.501 [4 per cell]
Si 0.056 0.706 0.579 [4 per cell]
Si 0.116 0.209 0.577 [4 per cell]
P 0.019 0.127 0.498 [4 per cell]
P 0.019 0.711 0.971 [4 per cell]
P 0.029 0.376 0.998 [4 per cell]
P 0.082 0.215 0.969 [4 per cell]
P 0.185 0.998 0.703 [4 per cell]
P 0.187 0.998 0.303 [4 per cell]



3.
PtRh3: theoretical PXRD pattern (Cu Ka), based on a crystal structure in Alexandria, relaxed with PBE.
Neutral-atom scattering factors, no anomalous dispersion.

Peak list (6 most intense, 2θ = 10–90°, most intense first)
two_theta, Rel. int., hkl
43.04, 1000, 1 2 1
43.17, 499, 1 0 2
40.27, 404, 2 0 0
75.14, 286, 3 0 2
37.80, 243, 0 2 1
82.51, 200, 2 2 3

Structure:
a = 4.479 Å, b = 5.503 Å, c = 4.742 Å
α = 90.00°, β = 90.00°, γ = 90.00°
Space group Pmmn (No. 59, origin choice 2)
One atom of each set of equivalent atoms:
Pt 0.250 0.250 0.166 [2 per cell]
Rh 0.250 0.501 0.666 [4 per cell]
Rh 0.250 0.750 0.168 [2 per cell]



4.
Pr2Dy12Tm5: theoretical PXRD pattern (Cu Ka), based on a crystal structure in Alexandria, relaxed with PBE.
Neutral-atom scattering factors, no anomalous dispersion.

Peak list (6 most intense, 2θ = 10–90°, most intense first)
two_theta, Rel. int., hkl
31.59, 1000, 2 2 0
31.96, 593, 2 -1 0
32.22, 429, 1 1 -3
31.19, 370, 0 3 0
30.94, 292, 1 2 3
33.79, 278, 2 1 3

Structure:
a = 6.592 Å, b = 8.819 Å, c = 10.908 Å
α = 84.30°, β = 78.90°, γ = 77.73°
Space group P-1 (No. 2)
One atom of each set of equivalent atoms:
Pr 0.158 0.174 0.006 [2 per cell]
Dy 0.092 0.254 0.299 [2 per cell]
Dy 0.124 0.190 0.702 [2 per cell]
Dy 0.234 0.554 0.454 [2 per cell]
Dy 0.321 0.485 0.772 [2 per cell]
Dy 0.371 0.876 0.221 [2 per cell]
Dy 0.387 0.820 0.871 [2 per cell]
Tm 0.000 0.000 0.500 [1 per cell]



green beans – 300-400 gr.,

potatoes – 5-6 pcs.,

onions – 2 pcs.,

garlic – 1 head,

vegetable oil,

salt, pepper - to taste.

Green beans enjoys special respect in some countries in southern Europe. But many of us also respect green beans, since they can be used to prepare various dishes. Today we want to invite you to cook potatoes with green beans.

wonderful side dish. This dish is easy to prepare and can be prepared by any novice cook. Prepare potatoes with green beans according to our recipe and you will certainly be satisfied with the result.

Cooking potatoes with green beans.

Before as cook potatoes with greens beans, you need to prepare all the ingredients. Potatoes must be peeled, washed and cut into medium cubes.

Peel the onion, rinse and finely chop.

Peel the garlic, rinse and chop.

Wash the parsley, dry and finely chop.

Green beans need to be washed, cut off the ends of the pods and, if they are long, cut them into pieces. Then place the beans in boiling salted water and cook for about 3-5 minutes. When the beans are cooked, place them in a colander. But it's easier to use frozen green beans. it does not need to be boiled first.

Then fry the potatoes in a frying pan in vegetable oil until golden brown.

At this time, you need to lightly fry the chopped onion in a saucepan.

Then add boiled green beans to the onion. Stir and simmer a little.

Next, add the fried potatoes to the saucepan, add salt and pepper.

Then add chopped garlic, stir and simmer for another 8-10 minutes.

I would like to share with you a very simple but incredibly tasty recipe for stewed potatoes with green beans. The ingredients are the simplest and can be found in almost every housewife’s refrigerator.
First we need one small onion. The onion must be peeled and rinsed under water.

Next, I cut the onions into half rings on the board.

After chopping the onion, you need to prepare dishes for frying it. Here, each housewife can do it her own way, for example, I fry onions in a saucepan where the dish itself will be prepared next. If you wish, you can do this in a separate container, such as in a frying pan. In general, I think you understand me)

Throw onions into a heated pan with sunflower oil.

While the onions are browning in a pan with butter over low heat, I start cooking the carrots. The carrots must first be cleaned and thoroughly rinsed from dirt under water. In the photo below it looks like two carrots, however I cut one carrot in half lengthwise so it looks that way.

And so, I cut the carrots lengthwise and then also chop them into half rings.

After cutting the carrots, it's time to throw them into the pan where the onions are fried over low heat. You need to mix the onions and carrots thoroughly and fry a little more.

I will use frozen green beans since green beans are not in season. To use green beans for preparing any dish, you just need to take them out of the freezer and throw them directly into the dish, frozen. Basically that's what I did.

I added frozen green beans to the pan where the onions and carrots were fried.

It is necessary to mix the vegetables well and cover with a lid, leaving them to simmer together over low heat.

While the onions, carrots and green beans are simmering in the pan, it's time to cook the potatoes.
I also peeled the potatoes in advance, washed them well under water and left the tubers in cold water until needed, so that the potatoes would not darken in the air.

Peeled potatoes need to be cut, I cut them into medium-sized cubes. Pour the potatoes into a separate bowl.

When the vegetables from the pan: onions, carrots and green beans have stewed a little and even softened, then it’s time to add our potatoes to the rest of the vegetables.

Now you need to pour water into the saucepan with vegetables, just enough so that the water covers the potatoes, or maybe a little more, about one centimeter. It also depends on who likes it, more or less vegetable broth.

Now we need to cover with a lid and let our vegetables boil over medium heat. When the potatoes and vegetables boil and simmer for even five minutes, you can start seasoning. As usual, I use sea salt, I fell in love with natural sea salt, since it contains more vitamins and is obtained by evaporating sea water. In general, I read a lot about sea salt and now in our family we only use it.
You need to add salt and ground black pepper to the vegetables to taste, also to taste, or you can omit it if you wish. We love it tasty, so I add salt and pepper, and sometimes I can even add cucumber or tomato brine. After I’ve eaten the vegetables from the jar, I don’t pour the brine down the sink, but put it in the refrigerator and add it to dishes as needed. in borscht, in soup or, for example, in stewed potatoes with green beans.

I pour about four tablespoons of wheat flour with water and stir well until the lumps disappear, so that the flour is completely soaked and the consistency is as thick as rare kefir.

The flour needs to be poured into the pan with the vegetables when the vegetables are ready, because if you pour the flour and water into the pan and the vegetables still need to be cooked for a long time, then there is a risk of the vegetables sticking to the bottom of the pan. In general, this procedure is done at the very end, but you will need to cook for another ten minutes. It’s easier to write this ten minutes before turning off the stove, you need to pour flour and water into the vegetables.

I also use frozen parsley, if fresh is even better. After pouring the flour, add the herbs to the dish for freshness and flavor.

You need to mix well and let it simmer for another ten minutes so that the flour is cooked and the dish becomes even more aromatic and tasty.

After turning off the stove, I usually always leave the dish covered for another 15 minutes. It will cool a little and become more aromatic.

Bon Appetit everyone!

Cooking time: PT01H00M 1 h.

green beans- 250 gr;
carrots - 1 pc.;
garlic - 3 cloves;
onions - 2 pcs;
potatoes - 1 kg;
mayonnaise - to taste

Cooking method:

Hello everyone, everyone. I want to write a recipe for a very tasty baked potato in a sleeve with frozen green beans with carrots and garlic. The dish turns out very tasty and satisfying, and thanks to the fact that I baked all the vegetables in the oven in a sleeve, all the vitamins are alive and well and the vegetables are juicy and very tasty. Be sure to try this budget version of baked potatoes in the oven; everyone who tries this wonderful recipe, I assure you, will be satisfied and ask for a little more. This dish can be prepared for dinner for your beloved children and beloved husband, or you can even please guests, especially when guests decide to come to you unexpectedly, the dish can be easily prepared quickly, load a sleeve of vegetables into the oven and continue communicating with friends who came to guests until the dish is ready. To prepare such an exquisite dish, we need a minimum of ingredients, but you will get a lot of pleasure and delight from the taste, aroma and juiciness. Since it’s still winter and the season for fresh green beans has not yet arrived, I use last year’s green beans frozen in the freezer, I have two types of green and white green beans, peeled, washed and frozen, so I won’t wait until the green beans are frozen and start right away to prepare our dish. I poured frozen green beans by eye, there is approximately 200-250 grams. here you can play with the quantity, as desired and possible, I like it when there are more potatoes, so I took less frozen beans, but if you prefer about the same or more green beans than potatoes, then it’s up to you, this will only be better, because the taste will be closer to your preferences. I poured the frozen green beans into a bowl and waited in the wings.

Now we prepare the following vegetables to prepare our amazing dish. We will need a small carrot, maybe more, then the taste of the carrot will be more clearly felt, and the color of the dish will be brighter. I prefer to use carrots that are approximately this size in this dish. Peel the carrots and rinse well under clean running tap water.

Now I cut the carrots in half first, then chop them into half rings, so that the carrot pieces are not quite small, but rather larger and brighter, then the dish will turn out not only tasty but also very beautiful and colorful.

Garlic, three cloves of garlic will be enough. Peel the garlic and rinse well.

Now I prefer to chop the garlic in this way, so that pieces of garlic can be found in the dish, it turns out very interesting and tasty, and the baked potatoes are even more aromatic from this. I don’t like to crush garlic through a special garlic press for a dish like baked potatoes with green beans.

Next we need two small onions. They must be peeled, get rid of the roots and tail, and rinse the bulbs well under water.

Chop the onion on a board into half rings or strips.

Potatoes are about one kilogram, you can have less or more, depending on how many people you are preparing the dish for, we cooked for two, but there were still potatoes and green beans left for one more time, then it turns out for four people at a time. The potatoes must first be peeled and rinsed very well under clean water.

Next, I cut the potatoes into slices, this time I chose to cut the potatoes into slices so that they turned out to be more similar in shape to elongated green beans, so that the dish turned out very beautiful and without comment tasty.

Well, now that all the vegetables are prepared and they can’t wait to get them into the cooking sleeve and go into the oven. It is necessary to choose a large bowl so that all our vegetables fit and can be mixed well without problems. Well then let's begin. First pour the potatoes into a large bowl, followed by the frozen green beans.

Now the orange mood with carrots, also throw in a bowl of vegetables.

Send the onions, chopped into strips or half rings, after the carrots and pour them into a bowl with vegetables.

Also add chopped garlic to the rest of the vegetables in a large plate.

Basically, all that remains is to season our vegetables. To begin with, I added fine sea salt, it is the healthiest and tastiest, so we have already started using only sea salt in cooking and simply adding it to taste.

And a little ground black pepper for aroma and taste.

And also a hint of basil for taste. I added dried basil spice, it smells great and gives an extraordinary aroma to the dish, I really love it as a spice.

Now season well with vegetable oil so that the vegetables really shine from the oil, so they will turn out very juicy and tasty and not dry. In this case, I used sunflower oil.

Now mix all the vegetables very well, such beauty, bright vegetables, juicy carrots and beautiful green green beans give the dish a very beautiful, healthy look.

Now, after you have added all the vegetables and spices, and more specifically, after you have added the vegetable oil and mixed everything, then it’s time to add a little mayonnaise or maybe sour cream, in my case mayonnaise. I clarified that I added mayonnaise after mixing all the vegetables with oil, because it will take much less mayonnaise and it is better to mix vegetables in this way with mayonnaise.

Our entire dish is ready for the continuation of the banquet and for sending to the oven.

To do this, you need to prepare a food sleeve for baking, more precisely measure it, cut it off and tie one end with a special thread, then open it with your hands and load all the vegetables along with the remaining juice at the bottom of the dish into the baking sleeve.

Now that all the vegetables are in the sleeve, the sleeve needs to be secured on the other side with a special thread. Place the baking sleeve in a baking dish first, so that you do not have to move the sleeve from place to place. Everything is ready, here is the moment when our dish needs to be sent to a preheated oven at 180 degrees and baked for about an hour so that the vegetables turn out soft and juicy. Before putting it in the oven, I pierce the sleeve with a knife in several places so that the sleeve does not inflate.

That's all, when the vegetables are ready, we take out our dish and let it cool a little and then we can start taking out all the vegetables, I carefully tear off the sleeve and carefully take out the vegetables with a spatula and put them on everyone's dishes.

Here is my nursery from the window, a fresh green onion, an excellent option for decorating winter dishes.

I carefully cut off a few feathers of a green onion; if I continue to keep the onion on the window, it will grow back. Now chop the feathers of green onions on a board and sprinkle them on our hot, yet delicious dish.

This is how beautiful it turned out for me, and it’s just finger-licking delicious.

Bon Appetit everyone!!!

Cooking time: PT01H20M 1 h 20 min.
